# Work order
Please echo the entries further below with every line break kept.
# Input
=====
A geometry-optimized NiH2S4N4 structure, computed with PBE.

Unit cell a=8.4584 b=12.6934 c=13.8734 alpha=90.00 beta=90.00 gamma=90.00
Atoms (fractional coordinates):
Ni (0.0235, 0.0713, 0.3755)
Ni (0.5235, 0.4287, 0.6245)
Ni (0.9765, 0.5713, 0.1245)
Ni (0.4765, 0.9287, 0.8755)
Ni (0.9765, 0.9287, 0.6245)
Ni (0.4765, 0.5713, 0.3755)
Ni (0.0235, 0.4287, 0.8755)
Ni (0.5235, 0.0713, 0.1245)
H (0.2899, 0.9672, 0.3933)
H (0.7899, 0.5328, 0.6067)
H (0.7101, 0.4672, 0.1067)
H (0.2101, 0.0328, 0.8933)
H (0.7101, 0.0328, 0.6067)
H (0.2101, 0.4672, 0.3933)
H (0.2899, 0.5328, 0.8933)
H (0.7899, 0.9672, 0.1067)
H (0.0423, 0.8660, 0.3576)
H (0.5423, 0.6340, 0.6424)
H (0.9577, 0.3660, 0.1424)
H (0.4577, 0.1340, 0.8576)
H (0.9577, 0.1340, 0.6424)
H (0.4577, 0.3660, 0.3576)
H (0.0423, 0.6340, 0.8576)
H (0.5423, 0.8660, 0.1424)
S (0.0825, 0.2347, 0.3737)
S (0.5825, 0.2653, 0.6263)
S (0.9175, 0.7347, 0.1263)
S (0.4175, 0.7653, 0.8737)
S (0.9175, 0.7653, 0.6263)
S (0.4175, 0.7347, 0.3737)
S (0.0825, 0.2653, 0.8737)
S (0.5825, 0.2347, 0.1263)
S (0.7806, 0.1113, 0.3883)
S (0.2806, 0.3887, 0.6117)
S (0.2194, 0.6113, 0.1117)
S (0.7194, 0.8887, 0.8883)
S (0.2194, 0.8887, 0.6117)
S (0.7194, 0.6113, 0.3883)
S (0.7806, 0.3887, 0.8883)
S (0.2806, 0.1113, 0.1117)
S (0.3724, 0.1313, 0.3775)
S (0.8724, 0.3687, 0.6225)
S (0.6276, 0.6313, 0.1225)
S (0.1276, 0.8687, 0.8775)
S (0.6276, 0.8687, 0.6225)
S (0.1276, 0.6313, 0.3775)
S (0.3724, 0.3687, 0.8775)
S (0.8724, 0.1313, 0.1225)
S (0.7820, 0.8951, 0.3611)
S (0.2820, 0.6049, 0.6389)
S (0.2180, 0.3951, 0.1389)
S (0.7180, 0.1049, 0.8611)
S (0.2180, 0.1049, 0.6389)
S (0.7180, 0.3951, 0.3611)
S (0.7820, 0.6049, 0.8611)
S (0.2820, 0.8951, 0.1389)
N (0.2404, 0.0399, 0.3810)
N (0.7404, 0.4601, 0.6190)
N (0.7596, 0.5399, 0.1190)
N (0.2596, 0.9601, 0.8810)
N (0.7596, 0.9601, 0.6190)
N (0.2596, 0.5399, 0.3810)
N (0.2404, 0.4601, 0.8810)
N (0.7404, 0.0399, 0.1190)
N (0.2795, 0.2378, 0.3745)
N (0.7795, 0.2622, 0.6255)
N (0.7205, 0.7378, 0.1255)
N (0.2205, 0.7622, 0.8745)
N (0.7205, 0.7622, 0.6255)
N (0.2205, 0.7378, 0.3745)
N (0.2795, 0.2622, 0.8745)
N (0.7795, 0.2378, 0.1255)
N (0.9652, 0.9296, 0.3596)
N (0.4652, 0.5704, 0.6404)
N (0.0348, 0.4296, 0.1404)
N (0.5348, 0.0704, 0.8596)
N (0.0348, 0.0704, 0.6404)
N (0.5348, 0.4296, 0.3596)
N (0.9652, 0.5704, 0.8596)
N (0.4652, 0.9296, 0.1404)
N (0.6842, 0.9983, 0.3752)
N (0.1842, 0.5017, 0.6248)
N (0.3158, 0.4983, 0.1248)
N (0.8158, 0.0017, 0.8752)
N (0.3158, 0.0017, 0.6248)
N (0.8158, 0.4983, 0.3752)
N (0.6842, 0.5017, 0.8752)
N (0.1842, 0.9983, 0.1248)

Values from the calculation:
Energy relative to the elements in eV per atom: 0.02
DFT total energy in eV per cell: -486.05
Volume in Å³/f.u.: 186.2
=====
# Here it is
A geometry-optimized NiH2S4N4 structure, computed with PBE.

Unit cell a=8.4584 b=12.6934 c=13.8734 alpha=90.00 beta=90.00 gamma=90.00
Atoms (fractional coordinates):
Ni (0.0235, 0.0713, 0.3755)
Ni (0.5235, 0.4287, 0.6245)
Ni (0.9765, 0.5713, 0.1245)
Ni (0.4765, 0.9287, 0.8755)
Ni (0.9765, 0.9287, 0.6245)
Ni (0.4765, 0.5713, 0.3755)
Ni (0.0235, 0.4287, 0.8755)
Ni (0.5235, 0.0713, 0.1245)
H (0.2899, 0.9672, 0.3933)
H (0.7899, 0.5328, 0.6067)
H (0.7101, 0.4672, 0.1067)
H (0.2101, 0.0328, 0.8933)
H (0.7101, 0.0328, 0.6067)
H (0.2101, 0.4672, 0.3933)
H (0.2899, 0.5328, 0.8933)
H (0.7899, 0.9672, 0.1067)
H (0.0423, 0.8660, 0.3576)
H (0.5423, 0.6340, 0.6424)
H (0.9577, 0.3660, 0.1424)
H (0.4577, 0.1340, 0.8576)
H (0.9577, 0.1340, 0.6424)
H (0.4577, 0.3660, 0.3576)
H (0.0423, 0.6340, 0.8576)
H (0.5423, 0.8660, 0.1424)
S (0.0825, 0.2347, 0.3737)
S (0.5825, 0.2653, 0.6263)
S (0.9175, 0.7347, 0.1263)
S (0.4175, 0.7653, 0.8737)
S (0.9175, 0.7653, 0.6263)
S (0.4175, 0.7347, 0.3737)
S (0.0825, 0.2653, 0.8737)
S (0.5825, 0.2347, 0.1263)
S (0.7806, 0.1113, 0.3883)
S (0.2806, 0.3887, 0.6117)
S (0.2194, 0.6113, 0.1117)
S (0.7194, 0.8887, 0.8883)
S (0.2194, 0.8887, 0.6117)
S (0.7194, 0.6113, 0.3883)
S (0.7806, 0.3887, 0.8883)
S (0.2806, 0.1113, 0.1117)
S (0.3724, 0.1313, 0.3775)
S (0.8724, 0.3687, 0.6225)
S (0.6276, 0.6313, 0.1225)
S (0.1276, 0.8687, 0.8775)
S (0.6276, 0.8687, 0.6225)
S (0.1276, 0.6313, 0.3775)
S (0.3724, 0.3687, 0.8775)
S (0.8724, 0.1313, 0.1225)
S (0.7820, 0.8951, 0.3611)
S (0.2820, 0.6049, 0.6389)
S (0.2180, 0.3951, 0.1389)
S (0.7180, 0.1049, 0.8611)
S (0.2180, 0.1049, 0.6389)
S (0.7180, 0.3951, 0.3611)
S (0.7820, 0.6049, 0.8611)
S (0.2820, 0.8951, 0.1389)
N (0.2404, 0.0399, 0.3810)
N (0.7404, 0.4601, 0.6190)
N (0.7596, 0.5399, 0.1190)
N (0.2596, 0.9601, 0.8810)
N (0.7596, 0.9601, 0.6190)
N (0.2596, 0.5399, 0.3810)
N (0.2404, 0.4601, 0.8810)
N (0.7404, 0.0399, 0.1190)
N (0.2795, 0.2378, 0.3745)
N (0.7795, 0.2622, 0.6255)
N (0.7205, 0.7378, 0.1255)
N (0.2205, 0.7622, 0.8745)
N (0.7205, 0.7622, 0.6255)
N (0.2205, 0.7378, 0.3745)
N (0.2795, 0.2622, 0.8745)
N (0.7795, 0.2378, 0.1255)
N (0.9652, 0.9296, 0.3596)
N (0.4652, 0.5704, 0.6404)
N (0.0348, 0.4296, 0.1404)
N (0.5348, 0.0704, 0.8596)
N (0.0348, 0.0704, 0.6404)
N (0.5348, 0.4296, 0.3596)
N (0.9652, 0.5704, 0.8596)
N (0.4652, 0.9296, 0.1404)
N (0.6842, 0.9983, 0.3752)
N (0.1842, 0.5017, 0.6248)
N (0.3158, 0.4983, 0.1248)
N (0.8158, 0.0017, 0.8752)
N (0.3158, 0.0017, 0.6248)
N (0.8158, 0.4983, 0.3752)
N (0.6842, 0.5017, 0.8752)
N (0.1842, 0.9983, 0.1248)

Values from the calculation:
Energy relative to the elements in eV per atom: 0.02
DFT total energy in eV per cell: -486.05
Volume in Å³/f.u.: 186.2